Material:
/*
No. 1
*/

Brief:
Your job: search the calculation results above for the word "No" and copy each line that has it.

Here it is:
No. 1